How do I use Nvidia Multi-process Service (MPS) to run multiple non-MPI CUDA applications?

The necessary instructions are contained in the documentation for the MPS service. You’ll note that those instructions don’t really depend on or call out MPI, so there really isn’t anything MPI-specific about them. Here’s a walkthrough/example. Read section 2.3 of the above-linked documentation for various requirements and restrictions. I recommend using CUDA 7, 7.5, or … Read more

How are 2D / 3D CUDA blocks divided into warps?

Threads are numbered in order within blocks so that threadIdx.x varies the fastest, then threadIdx.y the second fastest varying, and threadIdx.z the slowest varying. This is functionally the same as column major ordering in multidimensional arrays. Warps are sequentially constructed from threads in this ordering. So the calculation for a 2d block is unsigned int … Read more

CUDA apps time out & fail after several seconds – how to work around this?

I’m not a CUDA expert, — I’ve been developing with the AMD Stream SDK, which AFAIK is roughly comparable. You can disable the Windows watchdog timer, but that is highly not recommended, for reasons that should be obvious. To disable it, you need to regedit HKEY_LOCAL_MACHINE\SYSTEM\CurrentControlSet\Control\Watchdog\Display\DisableBugCheck, create a REG_DWORD and set it to 1. You … Read more

CUDA: How many concurrent threads in total?

The GTX 580 can have 16 * 48 concurrent warps (32 threads each) running at a time. That is 16 multiprocessors (SMs) * 48 resident warps per SM * 32 threads per warp = 24,576 threads. Don’t confuse concurrency and throughput. The number above is the maximum number of threads whose resources can be stored … Read more

Why is NVIDIA Pascal GPUs slow on running CUDA Kernels when using cudaMallocManaged

Under CUDA 8 with Pascal GPUs, managed memory data migration under a unified memory (UM) regime will generally occur differently than on previous architectures, and you are experiencing the effects of this. (Also see note at the end about CUDA 9 updated behavior for windows.) With previous architectures (e.g. Maxwell), managed allocations used by a … Read more

How do CUDA blocks/warps/threads map onto CUDA cores?

(Records of molecules from another source follow)
____________
(1)
Computed, not measured: the molecule CN4O6S in a non-equilibrium geometry, with ωB97M-V/def2-TZVPD.

Element x y z (Å)
N (2.29, 2.47, 0.20)
C (1.67, 1.53, 0.39)
O (0.82, 0.55, 0.57)
S (1.23, -1.04, 0.19)
O (2.57, -0.87, -0.14)
O (0.70, -1.90, 1.16)
O (0.49, -1.17, -1.41)
N (-0.71, -0.78, -1.36)
N (-1.06, -0.54, -0.22)
N (-2.28, 0.02, 0.17)
O (-3.15, -0.64, 0.62)
O (-2.30, 1.21, 0.18)

**SMILES string**: N#COS(=O)(=O)O/N=N/[N+](=O)[O-]
**Orbital gap**: 10.8035 eV
**LUMO energy**: -1.2 eV
**Multiplicity**: 1


(2)
Computed, not measured: a cluster of 7 separate species, C46H88Cl2N3O14PS in total in a non-equilibrium geometry, with ωB97M-V/def2-TZVPD.

Element x y z (Å)
C (-7.07, 1.52, 1.08)
C (-5.84, 1.15, 0.80)
C (-4.35, 0.75, 0.37)
C (-3.36, 0.18, 1.51)
C (-3.92, -0.02, 3.01)
Cl (-5.01, -1.48, 3.37)
C (-3.60, 0.86, 4.11)
C (-4.24, 0.53, 5.57)
Cl (-2.53, 2.34, 3.82)
C (-1.91, -0.18, 1.04)
O (-1.01, -0.69, 2.06)
C (-0.09, 0.45, 2.30)
C (0.41, 0.55, 3.83)
C (2.00, 0.14, 3.83)
C (2.04, -1.46, 3.63)
C (-1.40, -0.01, -0.48)
N (-0.04, -0.41, -0.77)
C (0.31, -0.27, -2.16)
P (2.08, -0.84, -2.64)
S (3.16, 0.54, -3.47)
C (-0.70, 0.32, -3.22)
C (-0.16, 0.43, -4.76)
C (0.07, -1.04, -5.45)
C (-1.19, -1.98, -5.03)
N (-0.93, -2.85, -3.81)
N (-2.06, 0.76, -3.00)
C (-2.36, 0.54, -1.59)
C (-3.85, 0.92, -1.12)
O (-4.81, 1.44, -2.06)
C (-5.21, 0.43, -3.04)
C (-6.67, 0.73, -3.72)
H (-8.12, 1.82, 1.45)
H (-4.13, 1.40, 6.31)
H (-3.77, -0.42, 6.05)
H (-5.38, 0.29, 5.47)
H (0.85, 0.30, 1.62)
H (-0.59, 1.43, 1.98)
H (-0.21, -0.06, 4.58)
H (0.33, 1.66, 4.17)
H (2.51, 0.69, 2.95)
H (2.46, 0.52, 4.82)
H (1.80, -1.70, 2.52)
H (1.22, -1.94, 4.29)
H (3.11, -1.83, 3.91)
H (2.05, -2.08, -3.40)
H (2.75, -1.20, -1.40)
H (0.74, 1.13, -4.87)
H (-1.01, 0.92, -5.39)
H (1.10, -1.49, -5.23)
H (-0.02, -0.85, -6.59)
H (-1.47, -2.72, -5.89)
H (-2.16, -1.38, -4.82)
H (-1.37, -2.39, -3.00)
H (0.08, -2.91, -3.61)
H (-4.44, 0.45, -3.93)
H (-5.16, -0.66, -2.64)
H (-6.53, 0.66, -4.87)
H (-7.04, 1.81, -3.52)
H (-7.44, -0.07, -3.37)
C (-10.30, 2.27, 3.55)
O (-9.58, 1.07, 3.32)
C (-8.74, 0.72, 4.43)
C (-9.37, -0.39, 5.27)
O (-10.55, 0.07, 5.94)
C (-11.74, -0.37, 5.29)
H (-11.06, 2.37, 2.78)
H (-10.78, 2.28, 4.53)
H (-9.62, 3.13, 3.47)
H (-8.52, 1.60, 5.04)
H (-7.80, 0.35, 4.01)
H (-8.66, -0.68, 6.05)
H (-9.59, -1.27, 4.66)
H (-11.89, -1.43, 5.49)
H (-11.70, -0.19, 4.21)
H (-12.58, 0.19, 5.71)
C (8.11, 3.88, -2.59)
O (7.72, 2.55, -2.26)
C (6.54, 2.14, -2.95)
C (6.87, 1.23, -4.13)
O (7.57, 1.94, -5.15)
C (8.97, 1.67, -5.13)
H (9.11, 4.05, -2.20)
H (8.11, 4.05, -3.67)
H (7.43, 4.60, -2.11)
H (5.96, 3.02, -3.28)
H (5.92, 1.59, -2.23)
H (5.93, 0.88, -4.57)
H (7.44, 0.36, -3.79)
H (9.16, 0.67, -5.52)
H (9.38, 1.76, -4.12)
H (9.46, 2.40, -5.77)
C (-7.00, 4.53, -4.42)
O (-7.97, 4.58, -3.39)
C (-7.67, 5.57, -2.41)
C (-8.53, 6.82, -2.60)
O (-8.20, 7.50, -3.81)
C (-9.13, 7.24, -4.85)
H (-7.39, 3.92, -5.24)
H (-6.77, 5.53, -4.82)
H (-6.08, 4.07, -4.05)
H (-6.61, 5.83, -2.42)
H (-7.90, 5.13, -1.43)
____________

Two of the best references are NVIDIA Fermi Compute Architecture Whitepaper GF104 Reviews I’ll try to answer each of your questions. The programmer divides work into threads, threads into thread blocks, and thread blocks into grids. The compute work distributor allocates thread blocks to Streaming Multiprocessors (SMs). Once a thread block is distributed to a … Read more